What is the Community Associations Institute (CAI) in Real Estate?

[Misplaced quantum chemistry results]
Record 1
2 unconnected molecules or ions with the total composition C4H7NO in a non-equilibrium geometry, computed with ωB97M-V/def2-TZVPD.

The geometry in XYZ format:
```
13
Properties=species:S:1:pos:R:3:forces:R:3
C 1.423846 -0.973000 0.675713 0.81 -0.50 -0.01
C 0.828379 0.112751 0.311029 -3.39 -0.51 0.33
C -1.773654 0.177192 0.135483 2.06 0.50 0.48
C 1.261768 1.354822 -0.276529 0.23 1.37 -1.31
N -2.240041 -0.935530 -0.423135 -2.58 -1.70 -0.82
O -2.236607 1.236607 0.426347 -0.17 -0.83 -0.40
H 2.468090 -0.983950 0.463622 1.25 0.06 -0.02
H 1.140682 -1.899671 1.124945 -1.00 -0.17 0.16
H 2.079624 1.787232 0.368609 -0.61 -0.26 -0.88
H 0.405094 2.143979 -0.330171 1.58 -1.43 -0.18
H 1.665189 1.024876 -1.327858 -0.68 1.31 1.68
H -1.784043 -1.818813 -0.521250 1.58 0.38 0.37
H -3.238328 -1.226497 -0.626806 0.94 1.78 0.59
```
Positions in Å, forces in eV/Å.

The LUMO energy (alpha / beta) is 0.26 / 0.48 eV. As for the spin multiplicity: 1. The energy above the lowest of the compared OMol25 structures with the same formula, charge and spin is 476.74 kJ/mol. The frontier orbital gap (alpha / beta) comes out at 8.05 / 8.26 eV. Its HOMO energy (alpha / beta) is -7.79 / -7.78 eV. For the total energy, the calculation gives -7794.7033 eV.

---

Record 2
A molecular structure, C19H32IrN3 in a non-equilibrium geometry, computed with ωB97M-V/def2-TZVPD.

The geometry in XYZ format:
```
55
Properties=species:S:1:pos:R:3:forces:R:3
C -0.380094 0.630940 -4.755257 -0.06 0.00 -0.08
C 0.188753 1.993375 -4.735020 0.09 0.35 0.01
C 0.367823 -0.434116 -5.455131 0.16 -0.23 -0.16
C -1.854584 0.539625 -4.808218 -0.31 0.02 0.00
H 0.176262 -0.363023 -6.539165 0.07 -0.12 0.07
H 0.045703 -1.433056 -5.138454 0.11 0.05 -0.13
H 1.448685 -0.344945 -5.318676 -0.11 -0.09 -0.18
H 0.129047 2.442370 -5.740162 0.02 0.06 0.08
H 1.242219 2.004819 -4.446445 -0.02 0.07 -0.16
H -0.380848 2.641757 -4.059343 0.13 0.05 -0.11
H -2.206830 0.738678 -5.833861 -0.05 -0.02 0.09
H -2.317645 1.290239 -4.160289 -0.11 -0.08 -0.12
H -2.214039 -0.456532 -4.535914 -0.11 0.07 -0.09
C 2.370894 -0.152361 -0.265571 1.28 0.42 0.72
C 2.568741 -0.773874 -1.553236 1.82 0.35 0.14
C 2.129329 0.154092 -2.553427 1.17 0.41 -0.23
H 2.979300 -1.764447 -1.739837 0.02 0.39 0.12
C 1.603228 1.320613 -1.888885 1.54 0.81 0.52
C 1.766062 1.137697 -0.477616 1.59 0.82 0.00
H 1.467066 1.855671 0.282628 0.08 -0.26 -0.17
H 2.619863 -0.589109 0.700008 -0.03 0.18 -0.36
H 2.191226 0.002126 -3.628396 -0.15 0.01 0.49
H 1.158985 2.186440 -2.366258 0.09 -0.23 0.18
C -1.568173 -0.514218 -0.319122 -1.57 -0.54 0.13
C -0.830243 -1.680209 0.069477 -0.97 -0.77 0.73
C -0.518991 -2.426731 -1.123163 -1.09 -1.37 0.26
H -0.567404 -1.946332 1.088745 -0.09 0.13 -0.27
C -1.086606 -1.731475 -2.241328 -1.01 -0.52 0.09
C -1.702520 -0.520455 -1.745493 -1.62 -1.02 0.70
H -2.177480 0.247955 -2.344690 0.13 -0.19 0.20
H -1.947291 0.254543 0.345260 0.25 -0.18 -0.06
H 0.033057 -3.365437 -1.167802 -0.30 0.31 0.05
H -1.051440 -2.046010 -3.276836 0.10 0.10 0.17

What is the Community Associations Institute (CAI)?

The Community Associations Institute (CAI) is an international membership organization dedicated to building better communities. In the context of real estate, CAI plays a significant role by providing education, resources, and advocacy for community associations, which include homeowners associations (HOAs), condominiums, and cooperatives. Here are some key aspects of CAI:

┌──
[1]
{
  "formula": "C7H14F3N4S",
  "method": "ωB97M-V with the def2-TZVPD basis set",
  "smiles": "NC[C@H]1NC(NS)=[NH+][C@@H]1CCC(F)(F)F",
  "total_charge": 1,
  "e_tot_ev": -32427.94860,
  "lumo_energy_ev": -3.44,
  "molar_mass_g_mol": 243.28,
  "orbital_gap_ev": 9.687,
  "species": ["H", "C", "H", "F", "C", "N", "F", "H", "H", "H", "H", "N", "H", "H", "F", "N", "H", "H", "C", "H", "H", "N", "C", "H", "S", "C", "C", "H", "C"],
  "coordinates": [[-0.88248, -3.34068, -1.36439], [-0.38185, -0.42659, -1.07765], [-2.29089, 0.18428, 1.12775], [-1.35700, 0.11086, 4.00521], [-1.32903, 0.67466, 1.08162], [2.44248, 1.32753, -0.86682], [0.83223, -0.06699, 4.00322], [0.24576, -1.00280, -0.40037], [1.24603, -0.32954, -2.52563], [-1.43613, 1.68225, 1.46646], [0.37157, 2.41925, 0.20037], [0.61924, 0.25427, -1.98919], [-2.12074, -1.60243, -1.04319], [0.69205, 0.01098, 1.47720], [-0.11863, 1.78782, 3.35457], [-0.71559, -2.66376, -2.08836], [3.20441, -0.82545, -1.16993], [0.27860, -2.59056, -2.22947], [-0.29043, -0.08413, 1.92259], [2.68688, 2.04932, -0.20622], [-1.82278, 1.23540, -0.87073], [0.13496, 1.85264, -0.60713], [-0.23126, 0.43184, 3.33453], [-1.78041, -0.93457, -2.63813], [3.69667, 0.36195, -1.56056], [-1.33539, -1.37733, -1.75539], [1.17197, 1.16646, -1.15181], [-0.58442, -1.12380, 1.95884], [-0.94581, 0.81912, -0.38740]]
}

***

[2]
{
  "formula": "C7H14FN4",
  "method": "ωB97M-V with the def2-TZVPD basis set",
  "multiplicity": 3,
  "total_charge": 1,
  "e_tot_ev": -16150.60365,
  "lumo_energy_ev": [-3.13, -5.99],
  "molar_mass_g_mol": 173.22,
  "orbital_gap_ev": [6.277, 7.302],
  "species": ["C", "H", "H", "N", "C", "H", "H", "F", "N", "N", "C", "H", "H", "C", "H", "H", "H", "N", "C", "H", "H", "C", "H", "H", "C", "H"],
  "coordinates": [[3.40912, 0.40840, 0.63779], [2.73597, 0.06747, -1.18221], [-1.68461, -1.38241, -1.25327], [0.47827, 0.14820, 0.53520], [-0.02810, -2.43227, 1.32006], [-2.01545, -1.81841, 1.19137], [-2.76379, 0.51784, 1.13140], [2.91863, 1.66305, 0.46884], [0.96689, -2.08323, 0.47227], [-1.13517, -0.49836, -1.14806], [-0.86129, -0.34400, 0.34319], [-1.62307, 1.79482, -0.60468], [-2.62905, 2.55975, 0.73408], [-1.76112, 2.03025, 0.41571], [3.50724, 0.15403, 1.70788], [4.41920, 0.42449, 0.21476], [0.56533, 1.10490, 0.30391], [-1.81071, 0.67789, 0.89165], [1.26642, -0.88889, 0.07011], [-1.45580, 0.62648, 1.90101], [3.30387, -1.48093, -0.44936], [-0.97708, -1.54355, 1.12427], [-0.97494, 2.70863, 0.79838], [-1.28423, -0.02797, -2.03586], [2.70584, -0.60669, -0.33922], [-0.06546, -3.46792, 1.84149]]
}

***

[3]
{
  "formula": "C7H14FNO2S",
  "method": "ωB97M-V with the def2-TZVPD basis set",
  "smiles": "N[C@H](CCSCCCF)C(=O)O",
  "de_lowest_kcal_mol": 66.9,
  "e_tot_ev": -26621.02492,
  "lumo_energy_ev": 0.79,
  "molar_mass_g_mol": 195.26,
  "orbital_gap_ev": 9.333,
  "species": ["C", "C", "H", "S", "H", "H", "H", "H", "C", "N", "O", "H", "C", "O", "H", "F", "H", "H", "H", "C", "H", "H", "C", "H", "H", "C"],
└──

Mission and Purpose

CAI's mission is to inspire professionalism, effective leadership, and responsible citizenship—ideals reflected in communities that are preferred places to call home. The organization aims to provide information and resources to community association leaders, professional managers, and business partners who support these communities.

Education and Training

CAI offers various educational programs and resources, including:

  • Certification Programs: Such as the Certified Manager of Community Associations (CMCA), Association Management Specialist (AMS), and Professional Community Association Manager (PCAM).
  • Workshops and Seminars: Covering a wide range of topics relevant to community association management, governance, and legal issues.
  • Publications: Including periodicals, books, and best practice reports to keep members informed about the latest trends, laws, and practices in community association management.


CAI advocates for legislative and regulatory policies that support the interests of community associations. This includes working with lawmakers and government agencies to influence legislation and regulations that affect community associations.


CAI provides a wealth of resources, including:

  • Research: Conducting studies and surveys to provide data and insights on community associations.
  • Guidelines and Best Practices: Offering guidance on governance, financial management, and community standards.
  • Networking Opportunities: Facilitating connections among members through conferences, local chapters, and online communities.


CAI's membership is diverse and includes:

Calculated molecules that have nothing to do with the article =
- - -
1.
The following is a quantum chemistry calculation of a structure of composition C3H31NO14S, from the Open Molecules 2025 dataset.

Values from the calculation:
energy relative to the best compared isomer or geometry (same formula, charge and spin) = 501.2 kJ/mol
HOMO energy = -0.3412 Ha
electronic energy = -44600.87709 eV
charge = 0

Geometry (Å):
O: 0.907 -1.079 2.195
C: 0.637 -1.811 1.299
O: 0.342 -3.102 1.451
C: 0.599 -1.411 -0.169
C: 0.396 -2.516 -1.199
S: 1.501 -3.965 -1.453
N: -0.401 -0.420 -0.522
H: 0.449 -3.434 2.341
H: 1.604 -1.041 -0.385
H: 0.247 -2.046 -2.167
H: -0.557 -3.042 -1.078
H: 2.728 -3.460 -1.301
H: -0.157 0.428 -0.044
H: -1.356 -0.707 -0.334
H: 3.847 1.284 -1.376
H: 3.186 2.368 -0.596
O: 3.462 2.153 -1.452
H: -2.777 -0.294 -2.355
H: -2.317 0.739 -3.205
O: -1.949 -0.056 -2.833
H: -5.174 -0.433 1.288
H: -4.128 -1.177 2.015
O: -4.526 -1.109 1.144
H: -1.454 3.320 2.262
H: -1.197 2.189 1.329
O: -1.417 2.366 2.262
H: -2.585 -1.623 3.992
H: -1.921 -0.332 3.587
O: -2.614 -0.947 3.290
H: 3.838 -0.466 -0.966
H: 4.299 -1.392 0.146
O: 3.961 -0.488 0.007
H: 0.392 1.512 -2.469
H: -0.286 0.197 -2.841
O: 0.602 0.611 -2.874
H: 0.134 0.229 3.674
H: -0.810 1.539 3.926
O: -0.501 0.662 4.253
H: -3.297 1.869 2.017
H: -3.762 0.636 2.793
O: -4.092 1.463 2.405
H: 3.092 -0.630 -3.273
H: 2.159 0.145 -2.556
O: 3.162 0.034 -2.562
H: 1.286 2.424 -0.054
H: 0.336 1.533 -0.813
O: 0.343 2.169 -0.103
H: 0.636 1.899 -3.128
H: 2.051 2.587 -2.894
O: 1.084 2.624 -2.677

Here are the natural (NBO) charges for atoms 1 to 6, given in e: -0.616, 0.804, -0.678, -0.184, -0.510, -0.039

=====

2.
The following is a quantum chemistry calculation of the molecule C5H9NO, from the Open Molecules 2025 dataset.

Values from the calculation:
energy relative to the best compared isomer or geometry (same formula, charge and spin) = 171.1 kJ/mol
HOMO energy = -0.3417 Ha
electronic energy = -8867.43914 eV
charge = 0

Geometry (Å):
C: 1.249 -0.908 -0.157
C: 0.194 0.210 -0.068
C: 0.755 1.602 -0.376
N: -1.054 -0.137 -0.778
C: -1.700 -0.731 0.393
C: -0.678 0.070 1.204
O: -0.638 0.520 2.314
H: 2.230 -0.576 0.193
H: 1.351 -1.220 -1.204
H: 0.962 -1.796 0.419
H: 1.765 1.558 -0.791
H: 0.794 2.212 0.533
H: 0.108 2.113 -1.093
H: -1.010 -0.635 -1.653
H: -2.754 -0.468 0.505
H: -1.573 -1.815 0.559

Here are the natural (NBO) charges for atoms 1 to 6, given in e: -0.618, 0.002, -0.626, -0.624, -0.339, 0.624

=====

3.
The following is a quantum chemistry calculation of the molecule C19H17BrF3N3O3, from the Open Molecules 2025 dataset.

Values from the calculation:
energy relative to the best compared isomer or geometry (same formula, charge and spin) = 9.0 kJ/mol
HOMO energy = -0.3479 Ha
electronic energy = -108786.25087 eV
charge = 0

Geometry (Å):
O: -2.173 1.756 2.052
C: -1.906 1.415 0.912
C: -2.293 2.306 -0.235
C: -2.127 3.675 -0.091
C: -2.525 4.538 -1.098
C: -3.118 4.036 -2.245
Br: -3.638 5.278 -3.571
C: -3.320 2.665 -2.391
C: -3.980 2.078 -3.615
F: -4.072 0.740 -3.530
- - -

  • Community Association Volunteers: Board members and other volunteers who govern and serve their communities.
  • Professional Managers: Individuals and firms who provide management services to community associations.
  • Business Partners: Companies and professionals offering products and services to community associations.
  • Public Policy Makers: Government officials and agencies involved in community association regulation and policy.


By providing education, resources, and advocacy, CAI helps community associations operate more effectively and efficiently, improving the quality of life for residents. The organization strives to foster harmonious and sustainable communities that can adapt to changing laws, economic conditions, and societal needs.

The Community Associations Institute is a vital resource in the real estate industry, particularly for those involved in the management and governance of community associations. Through its various programs and initiatives, CAI supports the development and maintenance of well-managed, successful communities.